Saturday, July 30, 2022

Bits and Pieces of This Week.....

 We have been home the last few days - as in no makeup - no hair - no pretty clothes.
Just grungy things.....most days not even earrings.

Louis Dean has often wished Life would slow down and that's exactly what has happened.
He's nearly all the way recovered from his pneumonia and heat exhaustion.
The labs came back Wednesday and all was perfect.
Dr. Maddox sent us a note through the patient portal - All good news!!!

The temps are still in the triple digits day after day.

Clouds came up this afternoon and there was a brief  'shower!'
Very brief!
So we water a little every morning and every night.
Not enough for many blooms but just enough that the plants don't die.

Louis Dean has enjoyed getting mail recently - he says 'Thank YOU' - and this card was from Amber.

I'm still loving my new carpet and little Miss Samantha hopped up in the chair and tucked her legs under her while I vacuumed the living room.

I had a good meal planned the other day.....the steak was marinating in the fridge....potatoes were baking....

and I made a big batch of pepper poppers.
But then we decided we weren't hungry so we just ate a baked potato for supper!

**Crystal structures, kept here for reference:**
<<<
VASP calculation (GGA-PBE) on a relaxed Ce2Ga5Cu3 crystal.

a b c (Å): 4.226 4.226 10.209
angles (deg): 90.00 90.00 90.00
Fractional coordinates of all 10 atoms:
Ce  0.500  0.000  0.746
Ce  0.000  0.500  0.254
Ga  0.000  0.500  0.865
Ga  0.500  0.000  0.378
Ga  0.500  0.000  0.135
Ga  0.000  0.500  0.622
Ga  0.500  0.500  0.000
Cu  0.000  0.000  0.500
Cu  0.000  0.000  0.000
Cu  0.500  0.500  0.500

E_form = -426.0 meV per atom
Crystal system = tetragonal

VASP calculation (GGA-PBE) on a relaxed BiPbBrO2 crystal.

a b c (Å): 7.180 7.180 7.180
angles (deg): 147.57 147.57 46.52
Fractional coordinates of all 5 atoms:
Bi  0.340  0.340  0.000
Pb  0.652  0.652  0.000
Br  0.994  0.994  0.000
O  0.757  0.257  0.500
O  0.257  0.757  0.500

E_form = -1481.5 meV per atom
Corrected total energy (MP2020 scheme) = -26.5 eV per cell
Crystal system = tetragonal
Magnetization = 0.00 μB/cell

VASP calculation (GGA-PBE) on a relaxed MgTi2Si2O8 crystal.

a b c (Å): 5.032 5.032 6.281
angles (deg): 93.54 86.46 112.03
Fractional coordinates of all 13 atoms:
Mg  0.500  0.500  0.500
Ti  0.000  0.000  0.500
Ti  0.000  0.000  0.000
Si  0.665  0.335  0.796
Si  0.335  0.665  0.204
O  0.770  0.230  0.564
O  0.230  0.770  0.436
O  0.768  0.232  0.997
O  0.232  0.768  0.003
O  0.767  0.692  0.756
O  0.692  0.767  0.244
O  0.233  0.308  0.244
O  0.308  0.233  0.756

E_form = -2937.1 meV per atom
Corrected total energy (MP2020 scheme) = -106.0 eV per cell
Crystal system = monoclinic
Magnetization = 0.00 μB/cell

VASP calculation (GGA-PBE) on a relaxed La2ZnAs2O crystal.

a b c (Å): 3.503 3.503 14.937
angles (deg): 90.00 90.00 90.00
Fractional coordinates of all 6 atoms:
La  0.500  0.500  0.641
La  0.500  0.500  0.359
Zn  0.500  0.500  0.000
As  0.500  0.500  0.156
As  0.500  0.500  0.844
O  0.500  0.500  0.500

E_form = -544.1 meV per atom
Corrected total energy (MP2020 scheme) = -28.7 eV per cell
Crystal system = tetragonal
Magnetization = 0.83 μB/cell

VASP calculation (GGA-PBE) on a relaxed SrCeEuNbO6 crystal.

a b c (Å): 5.871 6.093 8.443
angles (deg): 89.85 90.57 89.93
Fractional coordinates of all 20 atoms:
Sr  0.982  0.061  0.252
Sr  0.018  0.939  0.748
Ce  0.000  0.500  0.000
Ce  0.500  0.000  0.500
Eu  0.519  0.563  0.248
Eu  0.481  0.437  0.752
Nb  0.500  0.000  0.000
Nb  0.000  0.500  0.500
O  0.217  0.188  0.945
O  0.286  0.685  0.556
O  0.783  0.812  0.055
O  0.714  0.315  0.444
O  0.321  0.714  0.945
O  0.182  0.217  0.555
O  0.679  0.286  0.055
O  0.818  0.783  0.445
O  0.399  0.971  0.233
O  0.107  0.474  0.267
O  0.601  0.029  0.767
O  0.893  0.526  0.733

E_form = -3381.3 meV per atom
Corrected total energy (MP2020 scheme) = -183.0 eV per cell
Crystal system = triclinic
Magnetization = 11.89 μB/cell

VASP calculation (GGA-PBE) on a relaxed NaCu5Se2Cl3O8 crystal.

a b c (Å): 6.494 10.648 18.072
angles (deg): 90.00 90.00 90.00
Fractional coordinates of all 76 atoms:
Na  0.250  0.764  0.906
Na  0.250  0.736  0.406
Na  0.750  0.236  0.094
Na  0.750  0.264  0.594
>>>
**The crystal structures stop here:**

Last night we had the full menu for dinner!

I love my Facebook Memories.....
this is the very first photo of me with all four little Bells from 2012.
Can you still recognize them?
I am holding them in birth order!

Another sweet memory of Nita.....I treasure every single one of them.

This was a memory from 5 years ago.....
back before the big red roof and the front deck and the plowed garden....

Before Louis Dean brought in several loads of sandy loam soil and hours of plowing it up.
He'll not be trying keep up with such a big project now.
Maybe a much smaller garden next year.

I saw this poster on Facebook and I do believe this is true!

I do believe that Louis Dean and I have laughed together every single day of our 17 years of marriage and I am very grateful for that!


Deb J. in Utah said...

Hi Linda. Amen about being married to someone who makes you laugh! My sweet husband makes me laugh too. He got me laughing pretty hard just this evening. So glad the LD is feeling better and that the doctor gave you good news. I love that sweet picture of you and the baby Bells. Good memories. I also like the picture of Miss Samantha your kitty. I hope the Texas heat breaks soon. We are looking forward to fall here in Utah. Have a good Sunday. See you again soon!

Terra said...

How lovely that you have laughed together every day for your 17 years, that is a goal for every married couple. My hubby and I laughed together too, for our 45 year marriage.

Ginny Hartzler said...

This quote is so true! After all you have both been through, it is so good to have some restful days at home, just only doind what you want to. We all need to re-charge at times, and this is certainly your time! What a great pic of pretty Samantha. And you and the Quads are awesome! I'm wondering if that is Harrison who is the lowest on the very bottom...

Ginny Hartzler said...

P.S. A new Fall background!!!

Unknown said...

Good to hear that Louis Dean is almost fully recovered. Just don't let him go out and work in those triple degree temps. I'm glad you both laugh everyday. Laughter is the best kind of medicine I think. My husband and I laugh everyday too. It's good for the soul. How cute the baby Bells. The chubby one at the bottom is adorable.

Vee said...

No, I did not recognize them all...had to check my notebook for birth order and now I am saying, "of course."

Yes, laughter is good like love cement. So glad that Louis Dean is doing great!

And I am pleased for your quiet days. I know they will not last forever. You two are not "quiet folks."

I'm mostly known as 'MA' said...

Peascefilled days at home and lots of laughter are a wonderful thing. I agree laughter is the best medicine. It heals whatever ails you. Take care in the heat and enjoy theses slow days !

MadSnapper n Beau said...

This is happy news about the fully recovered Louis Dean and now you can have more laughs while you wilt in the heat. I can't even stand to walk out long enough to water plans. just came back in and was like I had been in a pool.
I remember the photo of the babies and it seems like only a couple of years ago and so hard to believe they are so big now. I had not been out of the house since last Saturday , a whole week, went to WM yesterday and the first time dressing or make up. I almost forgot how to drive

Changes in the wind said...

So happy for the good dr. report and the picture of the quads bring back so many memories. I have never eaten a pepper popper and have always thought they were hot but someone told me recently they are not and they are delicious. Wish I could just try one sometime. We have been having monsoon here so cooler tempts and rain which is a treat.

photowannabe said...

Laughter truly is the best medicine for all of us.
My Hubby is really my best friend. We are so good for each other.
Glad you are having some "down time"..that's good medicine too.
Going back to church for the first time in a month. Happy to be well again and can be back to our routine. Take care and I love the picture of the quads and sweet.

Brenda said...

Glad you and husband are resting and recuperating. We often over do and don't take care of ourselves...eating the right things, resting, exercise...all so love your and your family are continually in my prayers. I wrote on the blog, Closed Windows...I can see your husband taking you to that shop in is is about an hour or so away from me...maybe a little more. I might drive there and see it one day although I buy nothing. I am a I could find some gifts...take care and keep writing.

Brenda said...

Just checked, and it is 150 miles from me...ironically, Mother parked her camper in the 1980's in that area. We spent time in Interlachen, Ocala, etc...

Debby@My Shasta Home said...

I agree with the quote as well. Laughter helps soothes and defuse most situations. Those that are so stiff, and can't laugh - bother me.

That's a lot of babies. Wow.

Susie said...

Linda, I love the good news about LD. I think the baby without a bow is Harrison. LOL The years are flying too quickly.
The Joanne quote is true. The last day I got to have with Ted before he was put on the ventilator, he made me laugh. Looks mean nothing when you love or are loved. Keep on laughing with your sweet LD and hold tight to one another. Blessings, xoxo,love you, Susie

Carole said...

Gosh, your grandquads were so teeny! How time flies.. Cheers